My grandson got drawn for a youth hunt at Pee Dee NWR this weekend and I drew for the first rifle hunt the weekend of the 22. So while hes hunting there this weekend hopefully i'll find a good place for me in a few weeks. I also just bought a new treestand.... summit 180 and I cant think of a better way to break it in !
/*
(1)
For TlHCO2, DFT lattice parameters and positions (GGA-PBE) gives the theoretical powder diffractogram in this record (Cu Kα, 1.54184 Å).

Principal peaks in the range 10 to 90 degrees two-theta, by angle:
2θ 19.24, rel. 78; 2θ 22.09, rel. 25; 2θ 25.10, rel. 24; 2θ 29.45, rel. 100; 2θ 33.68, rel. 28; 2θ 45.32, rel. 18; 2θ 47.00, rel. 22; 2θ 52.24, rel. 19

```
20
Lattice="7.096 0.000 0.000 0.000 8.047 0.000 0.000 0.000 6.071" Properties=species:S:1:pos:R:3 pbc="T T T"
Tl 1.774 0.000 1.328
Tl 1.774 4.024 1.708
Tl 5.322 0.000 4.743
Tl 5.322 4.024 4.364
H 1.292 2.012 4.553
H 2.257 6.035 4.553
H 4.840 2.012 1.518
H 5.805 6.035 1.518
C 1.143 6.035 4.553
C 2.406 2.012 4.553
C 4.691 6.035 1.518
C 5.954 2.012 1.518
O 0.557 5.469 3.578
O 0.557 6.602 5.529
O 2.991 1.445 5.529
O 2.991 2.578 3.578
O 4.105 5.469 2.493
O 4.105 6.602 0.542
O 6.539 1.445 0.542
O 6.539 2.578 2.493
```

***

(2)
For NaDyO2, DFT lattice parameters and positions (GGA-PBE) gives the theoretical powder diffractogram in this record (Cu Kα, 1.54184 Å).

Principal peaks in the range 10 to 90 degrees two-theta, by angle:
2θ 21.01, rel. 97; 2θ 32.33, rel. 100; 2θ 34.57, rel. 30; 2θ 38.91, rel. 47; 2θ 44.63, rel. 27; 2θ 53.02, rel. 34; 2θ 60.54, rel. 16; 2θ 66.35, rel. 24

```
8
Lattice="-2.315 2.315 5.190 2.315 -2.315 5.190 2.315 2.315 -5.190" Properties=species:S:1:pos:R:3 pbc="T T T"
Na 2.315 1.157 1.297
Na 0.000 1.157 3.892
Dy 2.315 -1.157 3.892
Dy 0.000 3.472 1.297
O 2.315 1.157 -1.593
O 0.000 1.157 1.001
O 2.315 1.157 4.188
O 0.000 1.157 6.783
```

***

(3)
For Sm6Fe13Pb, DFT lattice parameters and positions (GGA-PBE) gives the theoretical powder diffractogram in this record (Cu Kα, 1.54184 Å).

Principal peaks in the range 10 to 90 degrees two-theta, by angle:
2θ 27.36, rel. 73; 2θ 27.81, rel. 38; 2θ 31.47, rel. 100; 2θ 32.05, rel. 47; 2θ 34.58, rel. 38; 2θ 35.36, rel. 98; 2θ 38.14, rel. 63; 2θ 43.04, rel. 46

```
40
Lattice="-4.013 4.013 11.665 4.013 -4.013 11.665 4.013 4.013 -11.665" Properties=species:S:1:pos:R:3 pbc="T T T"
Sm 2.713 -1.301 4.290
Sm 0.000 0.000 2.409
Sm 5.314 -1.301 7.375
Sm 5.314 1.301 4.290
Sm 0.000 0.000 9.256
Sm 2.713 1.301 7.375
Sm 1.301 2.713 4.290
Sm 0.000 0.000 14.074
Sm -1.301 2.713 7.375
Sm -1.301 5.314 4.290
Sm 0.000 0.000 20.922
Sm 1.301 5.314 7.375
Fe 4.013 0.000 0.000
Fe 3.102 0.911 -2.203
Fe 1.680 0.530 0.000
Fe 5.451 1.437 -1.390
Fe 3.102 0.911 2.203
Fe 3.483 -2.334 11.665
Fe 5.451 1.437 1.390
Fe 1.437 2.576 -1.390
Fe 3.483 2.334 0.000
Fe 3.102 -0.911 9.462
Fe 1.437 2.576 1.390
Fe 1.680 -0.530 11.665
Fe 3.102 -0.911 13.869
Fe 0.000 4.013 0.000
Fe 0.911 4.925 -2.203
Fe 2.334 4.544 0.000
Fe 2.576 1.437 10.276
Fe 0.911 4.925 2.203
Fe 0.530 1.680 11.665
Fe 2.576 1.437 13.055
Fe -1.437 2.576 10.276
Fe 0.530 6.347 0.000
Fe 0.911 3.102 9.462
Fe -1.437 2.576 13.055
Fe 2.334 3.483 11.665
Fe 0.911 3.102 13.869
Pb 0.000 0.000 5.833
Pb 0.000 0.000 17.498
```

***

(4)
*/
Back to the page =
I'm Here, sorry I haven't checked in before now, just changed jobs a few weeks ago and have had my mind on that but now its almost deer season so time to change focus! LOL Good Luck team!
Took my grandson to the Antlers Insanity Show at the Asheville Civic Center Sunday and got to meet T-Bone and Michael. We got thier autographs and he got his pic taken with em....MADE HIS SUMMER!!!! To bad he's hobbling around on crutches from a little dirt bike accident but I dont think he could have had a better time! Was a thrill for me too!:cool2:
I believe mine has a 1-3-5 wood and sw-3I and a putter. Can't remember but I'm in a tournament next friday at the sawfilers convention and I haven't had em out in about 5 yrs. Guess I better start looking for em huh! LOL
the winning hasn't got anything to do with it, I never liked him even before he started winning. He is a heck of a driver though and 4 championships in a row is an awsome feat, but I still don't like him.
WTG Dakota!! Hang with it man, you will learn to absolutely love it! Theres nothing like it. Before you know it, you be buying a tying kit and have feathers all over the house. LOL
Did anyone else make it to the allstar race this year. I sat in my usual seats at the start of turn one and the grandkids came home with pocketfuls of paint and tire rubber that came off of the 18 and the wall when he came by scraping the wall. We could actually feel the heat off the sparks on that one! Every wreck happened right in front of us except the one that I wanted to see! ( JIMMY JOHNSON) LOL
I've never used my flyrod for bass but I have a Fenwick 5 wt I use trout fishing. I have landed some pretty nice trout with it and I have also had fun at some bluegill ponds.
Well it has finally arrived. Opening day of trout season. It opens up on the Cherokee Indian Reservation this Saturday and the state waters open up next weekend. My grandson and I will be at our favorite spot by 5:00 Sat. morning just to make sure we get it LOL
Me and a couple of buddies got the idea to put in for a mule deer draw in Wyoming and got it. We left N.C. about 8:00 pm friday night and arrived in Dubois Wy. around 6:00 Sunday morning (about 34 hrs) We took turns driving some but I did the biggest majority of it because I get car sick. We didn't kill anything but it was the trip of a lifetime!